5NL Streets with Big Slick
Hand History driven straight to this forum with DriveHUD 2 Poker HUD and Database Software
NL Holdem 0.05(BB)
**Someone pasted materials data at this point**
=====
A plane-wave DFT calculation with PBE was carried out for crystalline Ba5Ru at its relaxed geometry.

Computed properties:
As for the total energy: -2.7686 eV/atom. Its distance to the lowest polymorph of the same formula is 0.000 eV per atom. The density of states at the Fermi level comes out at 18.0 states/eV per cell. As for the formation energy: 0.3797 eV/atom. Its symmetry is Amm2, No. 38.

Structure (POSCAR):
```
Ba5Ru
1.0
6.4199 0.0000 0.0000
0.0000 4.5050 0.0000
0.0000 0.0000 20.6146
Ba Ru
10 2
Direct
0.0000 0.0000 0.0000
0.0000 0.0000 0.2052
0.0000 0.5000 0.5000
0.0000 0.5000 0.7052
0.5000 0.0000 0.0863
0.5000 0.0000 0.4061
0.5000 0.0000 0.7352
0.5000 0.5000 0.2352
0.5000 0.5000 0.5863
0.5000 0.5000 0.9061
0.0000 0.0000 0.6088
0.0000 0.5000 0.1088
```

---

A plane-wave DFT calculation with PBE was carried out for crystalline Ba2Ru at its relaxed geometry.

Computed properties:
As for the total energy: -3.8904 eV/atom. The density of states at the Fermi level comes out at 11.0 states/eV per cell. As for the formation energy: 0.4834 eV/atom. Its symmetry is Cmcm, No. 63.

Structure (POSCAR):
```
Ba2Ru
1.0
4.2315 0.0000 0.0000
0.0000 12.9272 0.0000
0.0000 0.0000 7.7778
Ba Ru
8 4
Direct
0.0000 0.0000 0.0000
0.0000 0.0000 0.5000
0.0000 0.2663 0.2500
0.0000 0.7337 0.7500
0.5000 0.2337 0.7500
0.5000 0.5000 0.0000
0.5000 0.5000 0.5000
0.5000 0.7663 0.2500
0.0000 0.3957 0.7500
0.0000 0.6043 0.2500
0.5000 0.1043 0.2500
0.5000 0.8957 0.7500
```

---

A plane-wave DFT calculation with PBE was carried out for crystalline Ba5Ru4 at its relaxed geometry.

Computed properties:
As for the total energy: -4.3805 eV/atom. Its distance to the lowest polymorph of the same formula is 0.000 eV per atom. The density of states at the Fermi level comes out at 19.0 states/eV per cell. As for the formation energy: 0.8103 eV/atom. Its symmetry is P6_3/mcm, No. 193.

Structure (POSCAR):
```
Ba5Ru4
1.0
10.2791 0.0000 0.0000
-5.1395 8.9019 0.0000
0.0000 0.0000 5.9600
Ba Ru
10 8
Direct
0.0000 0.2643 0.2500
0.0000 0.7357 0.7500
0.2643 0.0000 0.2500
0.2643 0.2643 0.7500
0.3333 0.6667 0.0000
0.3333 0.6667 0.5000
0.6667 0.3333 0.0000
0.6667 0.3333 0.5000
0.7357 0.0000 0.7500
0.7357 0.7357 0.2500
0.0000 0.0000 0.0000
0.0000 0.0000 0.5000
0.0000 0.4684 0.7500
0.0000 0.5316 0.2500
0.4684 0.0000 0.7500
0.4684 0.4684 0.2500
0.5316 0.0000 0.2500
0.5316 0.5316 0.7500
```

---

A plane-wave DFT calculation with PBE was carried out for crystalline Ba3Ru2 at its relaxed geometry.

Computed properties:
As for the total energy: -4.2504 eV/atom. The density of states at the Fermi level comes out at 8.4 states/eV per cell. As for the formation energy: 0.6136 eV/atom. Its symmetry is P-3m1, No. 164.

Structure (POSCAR):
```
Ba3Ru2
1.0
5.0626 0.0000 0.0000
-2.5313 4.3843 0.0000
0.0000 0.0000 8.7965
Ba Ru
3 2
Direct
0.0000 0.0000 0.0000
0.3333 0.6667 0.2960
0.6667 0.3333 0.7040
0.3333 0.6667 0.9655
0.6667 0.3333 0.0345
```

---
=====
HERO ($6.26) [VPIP: 29.3% | PFR: 24.3% | AGG: 36.7% | Flop Agg: 41.4% | Turn Agg: 34% | River Agg: 37.7% | 3Bet: 11.5% | 4Bet: 13.8% | Hands: 339678]
CO ($6.60) [VPIP: 14.3% | PFR: 10.7% | AGG: 50% | Hands: 56]
BTN ($5.70) [VPIP: 15% | PFR: 15% | AGG: 100% | Hands: 42]
SB ($5.22) [VPIP: 17.9% | PFR: 14.3% | AGG: 37.5% | Hands: 56]
BB ($4.78) [VPIP: 31.6% | PFR: 26.3% | AGG: 35% | Flop Agg: 50% | Turn Agg: 14.3% | River Agg: 33.3% | 3Bet: 15.4% | Fold to 3Bet: 100% | 4Bet: 0% | Hands: 38]
UTG ($7.06) [VPIP: 28.8% | PFR: 19.2% | AGG: 25% | Hands: 56]
Dealt to Hero: A♥ K♦
UTG Folds, HERO Raises To $0.13, CO Folds, BTN Folds, SB Folds, BB Raises To $0.51, HERO Calls $0.38
Hero SPR on Flop: [4.11 effective]
Flop ($1.04): A♠ 8♠ T♥
BB Bets $0.74 (Rem. Stack: $3.53), HERO Calls $0.74 (Rem. Stack: $5.01)
Turn ($2.52): A♠ 8♠ T♥ 2♣
BB Checks, HERO Bets $0.79 (Rem. Stack: $4.22), BB Calls $0.79 (Rem. Stack: $2.74)
River ($4.10): A♠ 8♠ T♥ 2♣ Q♠
BB Bets $2.74 (allin), HERO ?
12 Replies
Villain has B x B as the OOP 3 bettor. Difficult to find value hands that wouldn't bet or x/r on turn apart from JsTs, KsJs or AxJs, but I'm guessing he'd mostly barrel with these. The only river bluff that makes sense is KxKs (only two combos since you have the Kd). It's probably a fold then?
I would raise all-in otf, is it good? As played, Im folding river.
Is there a reason you aren’t four betting PF here? It’s only a small sample but it doesn’t appear that BB is the type that only 3 bets with big pairs. A 4 bet would decrease your effective SPR and make this a much easier hand to play.
Is there a reason you aren’t four betting PF here? It’s only a small sample but it doesn’t appear that BB is the type that only 3 bets with big pairs. A 4 bet would decrease your effective SPR and make this a much easier hand to play.
I think 4betting is definitely reasonable.
I didn't 4bet because BB3bet ranges are stronger in practice than theory. I also thought if I 4bet and got called that a lot of my opponent's will put me on the exact hand I have which will lose me some EV.
I think defo fold with AK but not sure where the line is.
Sets+ i guess if we have them. This could easily be AQ/AT etc
Okay ty for the responses. I did end up folding which I think is correct as well.
Hand History driven straight to this forum with DriveHUD 2 Poker Tracking Software
NL Holdem 0.05(BB)
HERO ($6.26) [VPIP: 29.3% | PFR: 24.3% | AGG: 36.7% | Flop Agg: 41.4% | Turn Agg: 34% | River Agg: 37.7% | 3Bet: 11.5% | 4Bet: 13.8% | Hands: 340105]
CO ($6.60) [VPIP: 14.3% | PFR: 10.7% | AGG: 50% | Hands: 56]
BTN ($5.70) [VPIP: 15% | PFR: 15% | AGG: 100% | Hands: 42]
SB ($5.22) [VPIP: 17.9% | PFR: 14.3% | AGG: 37.5% | Hands: 56]
BB ($4.78) [VPIP: 31.6% | PFR: 26.3% | AGG: 35% | Flop Agg: 50% | Turn Agg: 14.3% | River Agg: 33.3% | 3Bet: 15.4% | Fold to 3Bet: 100% | 4Bet: 0% | Hands: 38]
UTG ($7.06) [VPIP: 28.8% | PFR: 19.2% | AGG: 25% | Hands: 56]
Dealt to Hero: A♥ K♦
UTG Folds, HERO Raises To $0.13, CO Folds, BTN Folds, SB Folds, BB Raises To $0.51, HERO Calls $0.38
Calculated crystals that have nothing to do with the page.
<<<
# LiI2N

A geometry-optimized LiI2N structure (PBE, Alexandria via LeMat-Bulk).

Magnetic moment, μB per atom: 0.000
Distance to the lowest polymorph of the same formula, meV/atom: 0
D(E_F), states/eV per cell: 9.8

```
data_LiI2N
_chemical_formula_sum 'Li4 I8 N4'
_cell_length_a 6.064
_cell_length_b 6.064
_cell_length_c 12.849
_cell_angle_alpha 90.00
_cell_angle_beta 90.00
_cell_angle_gamma 90.00
_symmetry_space_group_name_H-M 'I -4 2 d'
_symmetry_Int_Tables_number 122
_symmetry_space_group_name_Hall 'I -4 2bw'
loop_
_atom_site_label
_atom_site_type_symbol
_atom_site_fract_x
_atom_site_fract_y
_atom_site_fract_z
_atom_site_occupancy
Li1 Li 0.000 0.000 0.000 1
I1 I 0.137 0.250 0.625 1
N1 N 0.000 0.000 0.500 1
```

* * * * *

# Cd2Ni (SCAN, PBEsol geometry)
# Space-group type   I4/mmm, No. 139
# Energy of formation from the pure elements   0.0728 eV per atom
data_Cd2Ni
_chemical_formula_sum 'Cd2 Ni1'
_cell_length_a 2.9989
_cell_length_b 2.9988
_cell_length_c 5.8794
_cell_angle_alpha 104.84
_cell_angle_beta 104.78
_cell_angle_gamma 90.00
_space_group_name_H-M_alt 'P 1'
_space_group_IT_number 1
loop_
_space_group_symop_operation_xyz
'x,y,z'
loop_
_atom_site_label
_atom_site_type_symbol
_atom_site_fract_x
_atom_site_fract_y
_atom_site_fract_z
Ni1 Ni 0.5000 0.5000 0.0000
Cd1 Cd 0.8523 0.8524 0.7047
Cd2 Cd 0.1477 0.1476 0.2953

* * * * *

Entry 1:
Si3Ni7 | PBE-GGA | relaxed

```
Si3Ni7
1.0
3.6905 0.0000 0.0000
0.0000 4.9455 0.0576
-1.8452 -1.5637 5.9941
Ni Si
7 3
direct
0.7934 0.8568 0.5868
0.2066 0.1432 0.4132
0.0000 0.5000 0.0000
0.4172 0.1483 0.8343
0.5828 0.8517 0.1657
0.6233 0.3794 0.2466
0.3767 0.6206 0.7534
0.0000 0.0000 0.0000
0.8095 0.3354 0.6190
0.1905 0.6646 0.3810
```

energy relative to the elements, uncorrected: -484 meV/atom
space group: C2/m (12)
calculated density: 7.5 g/cm3
magnetic moment: 0.00 μB per formula unit
total DFT energy (no corrections): -61.6 eV/f.u.

---

Entry 2:
Si2Ni | PBE-GGA | relaxed

```
Si2Ni
1.0
4.3248 1.2980 4.3506
-5.3126 -2.9049 1.6293
1.4518 -2.9680 -0.5577
Si Ni
6 3
direct
0.6184 0.0000 0.5000
0.0000 0.2725 0.0000
0.3816 0.3816 0.5000
0.7276 0.7276 0.0000
0.0000 0.6184 0.5000
0.2725 0.0000 0.0000
0.6667 0.3333 0.0000
0.3333 0.6667 0.0000
0.0000 0.0000 0.5000
```

energy relative to the elements, uncorrected: -174 meV/atom
space group: P-62m (189)
calculated density: 5.0 g/cm3
magnetic moment: 0.00 μB per formula unit
total DFT energy (no corrections): -17.2 eV/f.u.

---

Entry 3:
Si12Ni31 | PBE-GGA | relaxed

```
Si12Ni31
1.0
-1.3211 -5.6403 3.2940
-2.1182 0.7704 -6.2713
10.5079 -4.8845 -4.1491
Ni Si
31 12
direct
0.6653 0.9627 0.1978
0.0344 0.3576 0.6948
0.0000 0.0000 0.0971
0.9199 0.3330 0.0952
0.3347 0.2975 0.8022
0.9656 0.3232 0.3052
0.6922 0.0625 0.5962
0.6670 0.5869 0.0952
0.7025 0.0373 0.8022
0.6768 0.6424 0.3052
0.5869 0.6670 0.9048
0.9375 0.6297 0.5962
0.0373 0.7025 0.1978
0.3333 0.6667 0.5671
0.3576 0.0344 0.3052
0.3078 0.3703 0.4038
0.6424 0.6768 0.6948
0.6667 0.3333 0.4329
0.3330 0.9199 0.9048
>>>
Hero SPR on Flop: [4.11 effective]
Flop ($1.04): A♠ 8♠ T♥
BB Bets $0.74 (Rem. Stack: $3.53), HERO Calls $0.74 (Rem. Stack: $5.01)
Turn ($2.52): A♠ 8♠ T♥ 2♣
BB Checks, HERO Bets $0.79 (Rem. Stack: $4.22), BB Calls $0.79 (Rem. Stack: $2.74)
River ($4.10): A♠ 8♠ T♥ 2♣ Q♠
BB Bets $2.74 (allin), HERO Folds
BB wins: $3.90
BB show's Q♣J♣
I usually just call against lines that don't have any value in them. What is he supposed to have here for value? I can't think of anything unless he somehow has a JT or KJ flush, which should be next to never.
I usually just call against lines that don't have any value in them. What is he supposed to have here for value? I can't think of anything unless he somehow has a JT or KJ flush, which should be next to never.
I wasn't sure if he was a fish or reg which made my decision harder. I do lean fish based on 3bet sizing/broken stack/bigger flop cbet
Ultimately I folded because he 3bet from the BB and BB3bets are stronger than theory. I do think AQ/QT/KJ can do this as well.
I don't have a strong opinion either way and can see your side though.
Interested to know what you think of villain's line? Check-calling 30% on turn seems okay if he's prepared to bluff rivers. Is having a J with no spade enough, though?
Interested to know what you think of villain's line? Check-calling 30% on turn seems okay if he's prepared to bluff rivers. Is having a J with no spade enough, though?
River is interesting. Flushes aren't as relevant because they are heavily blocked by the board but he can definitely have QQ although his flop sizing makes it less likely.
I don't like his flop cbet sizing but I can see him wanting to have a river donking range with a portion of his range. KJs isn't likely either because that usually bets turn or folds to the turn stab.
I think if he get's to the river somehow with a flush it's a mandatory donk jam. It's a rare line plus uncommon formation so I'm not too worried about perfect strategy in this spot.
If you take a look at positions by EV and rank them by importance. BB3BETvsHJ doesn't even crack the top 15.
It's a rare line plus uncommon formation so I'm not too worried about perfect strategy in this spot.
If you take a look at positions by EV and rank them by importance. BB3BETvsHJ doesn't even crack the top 15.
If I saw this showdown at a live low-midstakes game, I'd peg Villain as a semi-studied player. Most recs would check hoping for showdown, usually check-folded, virtually never consider check-raising as a bluff, let alone donking river as a bluff. I would guess that a small, studied portion of the live pool would consider a check-raise as the best option, aside from check-folding.
Understand your point about this hand not being that important in the end, though.